Programming Turing Machines: Implementation
To continue where we left off from the previous topic, I will begin discussing my Python implementation of a Turing machine. The fun part about implementation is that you don’t always have to be as explicit as you do when defining a model mathematically. This will give us some wiggle room later on to take advantage of inference.
Definition analysis
Recall our formal definition of a Turing machine from Introduction to the Theory of Computation by Michael Sipser:
A Turing machine is a 7-tuple, (Q, Σ, Γ, δ, q0, qA, qR), where Q, Σ, Γ are all finite sets and:
- Q is the set of states,
- Σ is the input alphabet, where ‘_’ ∉ Σ,
- Γ is the tape alphabet, where ‘_’ ∈ Γ and Σ ⊆ Γ,
- δ: Q x Γ → Q x Γ x {L,R} is the transition function,
- q0 ∈ Q is the start state,
- qA ∈ Q is the accept state, and
- qR ∈ Q is the reject state, where qR ≠ qA.
Some of the components of the machine can be “skipped” as they will be left to the programmer to ensure. For instance, we do not need an explicit Q to be predefined: as long as our Turing machine has some state(s) to transition into, they will be assumed to be in Q. For a similar reason, Σ and Γ do not need to be explicitly predefined. It is up to the programmer to create a Γ alphabet to meet their needs, but the definition itself is agnostic to the model. As long as the programmer can hold ‘_’ ∈ Γ and Σ ⊆ Γ true, this can be left out.
qA and qR can also be left out. For our implementation, we want to machine to tell us more than just whether or not an input was accepted. For this reason, we can “ignore” the accept state and program a default halting transition. Any time a valid transition cannot be performed, the halting transition will run; this is what allows us to loosen the constraints on our input alphabet, as a symbol a | a ∉ Σ will simply cause the machine to halt when read.
With the above in mind, the only two things that remain are δ and q0. δ will hold a similar definition to before, this time being a list of lists rather than tuples. q0 will not have an explicit definition, but will be implied: my implementation assumes all machines start on a state “s1”.
We will need an additional structure to represent a tape; for this I used a list of characters combined with an integer that would store the index of the current symbol being read.
Code implementation
Putting all of the above together, we get the following:
class TuringMachine:
def __init__(self):
self.state = 's1'
self.instructions = []
self.tape = []
self.position = 0
The next thing we need to do is give our TuringMachine the ability to change states. We have a list of transitions we can search, so let’s make a function with the following signature:
δ(q, a) = (q’, b, d), where:
- q, q’ ∈ Q,
- a, b ∈ Σ, and
- d ∈ {L,R}.
Translating that to pseudocode we something like this:
transition(state, symbol) {
// search
return state, symbol, direction
We know our transitions are represented by an ordered list, so we can match elements based on their position. We also have a variable self.state
that is used to store the current state; we can reuse this and throw out the need to pass a state into our function. This function will also need to account for a default halting transition if a valid transition cannot be found. Here is the resulting function I came up with, which returns a symbol, a direction, and a state, respectively:
class TuringMachine:
# ...
def transition(self, a):
t = [a, 'r', 'H']
for i in self.instructions:
if i[0] == self.state and i[1] == a:
t[0] = i[2]
t[1] = i[3]
t[2] = i[4]
return t[0],t[1],t[2]
Next, we should give our machine a way to read from the tape using variables we have created. This function simply returns the element on the tape at the current index:
class TuringMachine:
# ...
def read(self):
return self.tape[self.position]
The next thing we need is a way to write. This will be similar to
in that we will be using self.tape
and self.position
to locate where to write, but we will need a character to pass to this function, as well as a way to overwrite only the current cell. Here’s the one-liner I used:
class TuringMachine:
# ...
def write(self, a):
self.tape = self.tape[:self.position] + a + self.tape[self.position+1:]
Finally, we need to give our machine a way to move around the tape one cell at a time. As the definition in the previous topic stated, if our machine is at the start of the tape and attempts to move left, stay in the current cell without halting. If we move right and we are at the right-most end of the tape, we can simulate infinity by appending an empty cell before moving. Moving left will decrement self.position
whereas moving right will increment it:
class TuringMachine:
# ...
Here the piece breaks off for quantum chemistry results:
- - -
107
Properties=species:S:1:pos:R:3 method="wB97M-V/def2-TZVPD" energy_ha=-9207.1882 fmax_ev_per_a=0.7 homo_energy_ev=-12.65 e_above_lowest_ev=0.000 total_charge=+2
Te 1.250 1.654 -4.397
As 2.960 0.566 4.977
As 0.036 0.542 2.738
Ti 0.096 -0.626 0.167
Cl 4.601 -2.181 -0.692
Cl 4.887 0.529 0.411
O -1.042 -1.410 -0.926
O 1.939 0.402 0.410
O 3.703 -2.076 2.392
O -0.033 -2.077 1.507
O -0.526 3.580 2.829
O 3.700 3.248 5.319
O 3.800 -2.789 4.480
O -2.556 -4.386 -2.625
O 2.399 4.428 3.919
O 1.721 -1.527 -0.522
O 1.104 3.894 1.390
O 1.018 -3.307 3.020
N -0.894 1.204 -0.481
C -2.698 0.106 -1.658
C 0.691 -2.162 2.542
C 0.569 3.274 2.427
C 0.278 -4.714 -2.617
C 1.222 2.058 3.050
C -1.240 0.728 4.185
C 2.354 -3.820 -3.439
C 4.808 0.558 4.337
C -2.170 0.848 -0.498
C -0.374 -3.546 -3.010
C 1.704 -2.666 -3.853
C -2.841 2.141 1.466
C 1.131 -0.968 3.253
C 3.332 -1.999 3.536
C -2.457 -2.048 -2.751
C -3.009 0.996 0.675
C 1.641 -4.843 -2.822
C 2.450 3.638 0.945
C 2.951 5.661 4.445
C -4.259 -0.532 -3.382
C -3.568 -1.735 -3.524
C -3.038 0.884 -6.607
C 0.707 -4.505 2.239
C -4.061 0.104 0.941
C -2.822 2.062 -5.906
C -0.846 0.111 -5.990
C 3.245 -2.741 5.810
C -2.052 -0.091 -6.649
C -4.735 1.487 2.784
C -1.620 2.269 -5.244
C -5.482 -0.238 -4.203
C -3.822 0.379 -2.421
C -4.902 0.340 2.009
C -1.838 -3.429 -2.783
C -2.029 -1.109 -1.831
C -0.351 1.698 -1.791
C 0.774 0.907 -2.429
C 3.941 -0.562 -0.600
C 2.490 -0.572 -0.175
C -0.631 1.286 -5.274
C 2.333 -0.909 3.846
C 2.224 2.057 3.923
C 2.851 3.314 4.465
C 0.341 -2.528 -3.632
C -3.713 2.388 2.510
H -4.360 1.308 -2.270
H 5.319 1.385 4.821
H 1.189 -4.425 1.268
H -2.060 2.848 1.224
H 5.273 -0.377 4.648
H 3.748 -1.974 6.397
H -5.419 1.684 3.600
H 0.563 -0.158 -2.534
H 2.526 2.643 0.518
H 2.467 6.452 3.885
H 1.117 -5.323 2.817
H 3.440 -3.715 6.246
H 2.171 -2.559 5.781
H -3.966 0.734 -7.145
H 4.857 0.646 3.255
H -1.604 1.751 4.160
H 4.028 5.675 4.297
H -1.178 1.791 -2.496
H 1.711 1.054 -1.894
H -0.066 -0.637 -6.057
H -3.927 -2.474 -4.230
H 2.151 -5.749 -2.519
H 3.416 -3.933 -3.612
H 3.160 3.754 1.757
H -4.199 -0.772 0.319
H -5.712 -1.060 -4.878
H -2.059 0.028 4.029
H 0.007 2.706 -1.572
H -0.300 -5.508 -2.163
H -3.578 2.838 -5.899
H 2.251 -1.880 -4.360
H -1.439 3.209 -4.738
H 3.950 -0.149 -1.611
H -2.207 -1.001 -7.214
H 2.643 4.393 0.190
H -5.341 0.664 -4.798
H -0.179 -1.643 -3.979
H -6.347 -0.076 -3.559
H -5.704 -0.351 2.231
H -0.370 -4.595 2.133
H -3.600 3.288 3.100
H 2.724 5.737 5.505
H -0.734 0.524 5.127

* * * * *

# 1
DFT (wB97M-V/def2-TZVPD) results for a cluster of 3 separate species, CH9N3O2 in total in a non-equilibrium geometry.

Output
HOMO energy in eV: -8.576
Charge: 0
Relative energy (zero: lowest compared OMol25 entry of this formula, charge and spin) in kJ/mol: 62.8
Gap between HOMO and LUMO in eV: 9.40
Spin multiplicity: 1
SMILES: N=C(N)N.O.O

Atoms and positions in Å:
H 1.289 -1.362 -2.240
H -2.871 -0.066 1.878
H 1.574 0.800 -1.582
H 2.014 -1.103 -0.967
N -0.817 1.147 0.824
N -0.079 -1.063 0.544
- - -
def move(self, d):
if d == 'l':
if self.position != 0:
self.position -= 1
elif d == 'r':
if self.position != len(self.tape)-1:
self.position += 1
self.tape += '_'
self.position += 1
We now have all the pieces we need to run our Turing machine, now we just need to put them all together and have a way of showing every configuration while it runs. Displaying the configuration is really easy:
class TuringMachine:
# ...
def show(self):
print self.tape + ' ' + self.state
print ' '*self.position + '^'
Combining all of this into a single run function gets a bit trickier. We need to loop until the program halts, reading, writing, moving, transitioning, and printing the configuration every time. I used a while-loop where the condition checked self.state != 'H'
class TuringMachine:
# ...
def run(self):
while self.state != 'H':
a,d,self.state = self.transition(
The above will print the initial input before the loop, then it will begin getting transitions and moving around the tape. I made mine a little bit more robust. Sometimes, the output would extend beyond my scrollback buffer, so I added a variable, s
, to act as a suppression flag. I also added a conditional to the move instruction that will only allow it to execute if the machine has not transitioned into a halt state. This makes our halting configuration a little cleaner:
class TuringMachine:
# ...
def run(self, s):
if s:
while self.state != 'H':
a,d,self.state = self.transition(
if self.state != 'H':
if s:
if not s:
Putting it all together, our Turing machine is less than 50 lines. Our final product is ready for testing:
class TuringMachine:
def __init__(self):
self.state = 's1'
self.instructions = []
self.tape = []
self.position = 0
def show(self):
print self.tape + ' ' + self.state
print ' '*self.position + '^'
def move(self, d):
if d == 'l':
if self.position != 0:
self.position -= 1
elif d == 'r':
if self.position != len(self.tape)-1:
self.position += 1
self.tape += '_'
self.position += 1
print "Error"
def read(self):
return self.tape[self.position]
def write(self, a):
self.tape = self.tape[:self.position] + a + self.tape[self.position+1:]
def transition(self, a):
t = [a, 'r', 'H']
for i in self.instructions:
if i[0] == self.state and i[1] == a:
t[0] = i[2]
t[1] = i[3]
t[2] = i[4]
return t[0],t[1],t[2]
def run(self, s):
if s:
while self.state != 'H':
a,d,self.state = self.transition(
if self.state != 'H':
if s:
if not s:
Programming a Turing machine
The next thing I did was write a parser to make programming this easier. I won’t get into the guts of the parser, but it will turn a file like this:
; change each value
s1 > > r s1
s1 0 1 r s1
s1 1 0 r s1
s1 _ l s2
into a list of transitions for our machine. There are a couple things to note here. First, I used ‘;’ as my comment notation. This is not hardcoded, however, and can be changed in a global variable in the parser. The second is that weird 4-tuple transition at the end. In order for me to clean up the tape, I needed to have a way of removing cells. Originally, I was just leaving trailing '_'s on the tape, but as the machine grew that became a road block. Instead, I made two options for the parser:
- A 5-tuple transition of
state, read-symbol, write-symbol, direction, state
, and - A 4-tuple transition of
state, read-symbol, direction, state
The second option gets formatted into a 5-tuple transition that will remove a cell entirely. This is because our self.move()
will add a ‘_’ to the end; commonly I will use a q _ l q'
type transition to remove trailing '_'s, though it can be used anywhere.
Let’s get into what that sample program actually does, though. We start in s1 on a ‘>’. All of my programs will do this, and is an important assumption for chaining later on. If we see a ‘>’, we write a ‘>’, move right, and transition to s1. Since our state doesn’t change, this transition is a loop. In fact, only one transition changes the state; all but one will loop. Hopefully it isn’t too hard to see what this program will do: on a given binary input, this program will perform a bitwise NOT operation.
What about something a bit longer, with more states? Try this:
; delete first number
s1 > > r s1
s1 0 r s2
s1 1 r s2
; move to end
s2 0 0 r s2
s2 1 1 r s2
s2 _ 0 r s3
; delete _
s3 _ l s3
It may not be entirely obvious what is going on here, but the “trick” is happening in the last transition of the second block: s2 _ 0 r s3
. Since we immediately began by chopping off the first bit, understanding this instruction will make it obvious. This instruction will append a 0 to the end of the tape: this whole program will shift a given binary input to the left by one bit!
Parting words
This is the part that makes Turing machines so much fun! If you enjoy writing Assembly programs, you will probably enjoy this because it is on a much lower level. Once you begin writing your own Turing machine programs, you will notice that besides being extremely tedious, there are some things you can’t easily do. The next topic I cover will walk you through how I abstracted this Turing machine implementation into a higher level model, with some added features, to perform all kinds of tasks that I wouldn’t want to write out solely in transitions. In the meantime, however, I will leave this program:
s1 > > r s1
s1 0 1 r s1
s1 1 0 r s1
s1 _ _ l s2
s2 0 1 l s3
s2 1 0 l s2
s2 > > r s3
s3 0 0 l s3
s3 1 1 l s3
s3 > > r s4
s4 0 0 r s4
s4 1 1 r s4
s4 _ l s5
I’ve removed comments, but you should be able to figure out what it’s doing. Post your answer in the comments, but don’t spoil it for others!
Part 3 is done!